Entries =
/*
The following is a DFT calculation (the ωB97M-V functional and the def2-TZVPD basis) of C20H24AsBF6O3PdS6 as an isolated structure at a distorted geometry.

As for the total energy: -173588.396 eV. As for the net charge: -2. For the energy relative to the best compared isomer or geometry (same formula, charge and spin), the calculation gives 42.1 kcal/mol. As for the HOMO-LUMO gap: 0.16441 Ha.

Geometry as XYZ:
```
62
Properties=species:S:1:pos:R:3:mulliken_charge:R:1
F 3.32509 1.14871 -2.55563 -0.15
H 0.04359 -0.47869 3.20337 0.49
H -0.62491 0.36781 1.79087 0.33
C -0.27011 4.31411 0.14237 -0.02
C 5.83299 1.01051 0.09397 0.49
C 4.65819 1.76021 -0.62103 1.32
C -3.82761 -0.24949 -2.01933 -1.80
C -4.36721 -3.54769 1.38607 -1.65
S -1.84161 8.17951 -0.73003 -0.39
O 3.56159 1.59851 0.08837 -0.36
H 2.13989 -2.70959 2.28097 0.35
H -6.33551 -4.60689 -0.08493 0.44
H -4.37101 0.45431 -2.63503 0.42
S 1.52619 3.59091 -1.82733 -0.43
C -1.85111 -0.95799 -0.85443 -0.52
C 0.48919 4.61461 -0.96213 0.05
H -6.49211 -2.85139 -0.17013 0.43
Pd 1.40049 1.38701 -0.74553 0.81
H -1.89901 -2.76019 0.25777 0.59
F 5.35279 1.74611 -2.97123 -0.36
C -4.44931 -1.39189 -1.51453 -0.23
C 5.08759 3.23911 -0.78693 -1.80
C -4.44691 -3.57239 -0.14773 2.27
S -1.33411 5.60291 0.72127 -0.12
H -4.10651 -5.71259 -0.22833 0.44
C -1.01381 6.75311 -0.55943 0.07
H -2.63841 -4.74899 -0.42453 0.33
S 0.33219 6.27321 -1.57113 -0.12
H -0.49301 -1.40569 1.77647 -0.02
O -0.60421 -0.53469 -0.63513 0.24
S -0.28401 2.87001 1.02247 -0.58
C -3.69501 -4.80489 -0.67103 -1.65
C -2.50931 -0.03299 -1.67983 0.89
H 3.66719 -1.81959 2.30317 0.29
H 1.90949 1.13831 3.44707 0.41
B -0.42641 0.68581 -1.32953 0.02
H 2.04429 2.14081 1.96167 0.21
F 6.96829 0.90091 -0.64103 -0.33
C -5.92121 -3.70349 -0.53333 -2.23
As 1.80869 -0.32119 1.41427 1.18
H 6.09599 3.33001 -1.18743 0.39
C -2.46131 -2.08829 -0.37063 -0.39
C -3.79451 -2.31699 -0.70853 0.17
H -3.33651 -3.49369 1.72237 0.34
C 2.37669 1.22931 2.46307 -1.16
H 3.46039 1.25251 2.55257 0.32
H 2.47619 -1.56539 3.61777 0.39
F 6.20919 1.65771 1.21627 -0.32
H 4.37809 3.72761 -1.45103 0.29
H -4.81661 -4.45109 1.80037 0.45
C 2.60669 -1.75929 2.55237 -1.28
H -4.89881 -2.68119 1.77497 0.37
O -1.65391 0.96251 -1.98373 -0.78
H -5.49021 -1.53959 -1.76143 0.42
F 4.96989 -0.17209 -2.11933 -0.30
C 4.57079 1.11091 -2.05903 0.39
H -3.78501 -4.86859 -1.75383 0.37
S 2.26289 -1.11559 -0.47423 -0.57
C -0.02651 -0.48359 2.11447 -0.98
H -6.03431 -3.77419 -1.61323 0.42
F 5.51779 -0.23089 0.48257 -0.25
H 5.02769 3.70381 0.19447 0.39
```

* * * * *

# 1
*/
Work order =
Please count the lines above that contain the word "def2-TZVPD" and give the number alone.
Response =
1